>2008 was 10 years ago
Are you happy with how you spent the last 10 years?
2008 was 10 years ago
Most of it has essentially been on rails, so I suppose I can't complain.
>Last ten years
>last 7 months
Not exactly. 10 years ago I was a 16 year old beta that was bullied all the time in highschool. I had a serious case of
>tfw no gf
Then, but I didn't have a community like this one to talk about it. It took me a year to get the balls to ask one girl out, and I got rejected. From there I spent all my time in a dark room watching anime. 10 years later and I'm still doing the same thing, but at least I can support myself to an okayish degree.
>I didn't die when I was like 10
fucking kill me bros
>Got a meme degree.
>Got a job.
Doin' alright for now. If you were to ask me 10 years ago where I would be I would have no answer.
not in the slightest, i feel like i've wasted my teenage years and early twenties
I know a bit about physics and math. Not much, but at least it's better than playing video games and watching anime nonstop.
Anyone else nostalgia hard watching 2000s anime? I feel it especially when they show Windows XP being used.
That's age 12 and a half to present so pretty shit
>Emotional problems in middle school
>grades 7 to 9 in a fucking reform school
>age 13 I'm thrown in jail for 3 days
>age 14 can't stop huffing spraypaint because I hate my life
>finally run away from home, spend 5 hours walking to the next town and realize I have nowhere to go
Later teen years were less eventful
Well, i was 10. So growing up and having my teen years with an abusive alcoholic parent made me really depressed, so no, not at all. I just hope to finish college and make my own life so i can finally have a year which i can remember as a happy year
2008... Probably the year I should have given up to be honest
my stats look good. I got:
>a college degree
>well paying job that I love
>big and modern apartment
But I'm still alone. More than I was 10 years ago. And it's probably not going to change anymore.
I went from being a suicidal high school freshman living with an alcoholic to living by myself and making a pretty good income after getting my degree considering how many other 25 year olds are broke as shit. Still a KHV though lol
There were a lot of things that happened outside of my control during the first four years since I was still in high school, so I don't know if I'm necessarily unhappy about them so much as "well, what can you do". What I have now is better than being broke or dead, so I guess I'm happy
It all should have ended in 2008. With each passing year, I regret not dying earlier. 2008 to now is just a blur, stuff that came out in 2008 still feels like it's recent and it all just blends together. It's like everything from 2008 to now is a fake reality, and it's really still 2006 and this is all some coma dream. Nothing feels real anymore.
The first 4 years were good, but with older age comes the stresses of life and now had to face what my parents call 'reality' but I call 'social enslavement'
At least you can survive on your own user. That's something to be proud of.
i had some shit years and some good ones
I'd go through all the shit ones again, and even more, if I would still be on track to meet my best friend. last 8 months have been the best of my life so far since I met him :)
When I look back I should be.
I see some health issues in my future putting a damper on some long time plans but can't have it all.
10 years ago I didn't see myself making it to 30 so baby steps.
Life is basically on rails dude. Who you meet, opportunities generated, skills earned that snowball you into a position.
You look back on it, and there's just action and reaction. You can't act stupid in the moment.
a mix of good and shit times. with the shit usually outweighing the good times
>>Are you happy with how you spent the last 10 years?
not particularly. but I have a hard time fathoming I would have been able to avoid the fuck-ups I made, knowing what I knew at the time. Shit, even if future me would have come back in time and said "don't do that" I probably would have made a lot of the same mistakes.
I was a child ten years ago. If I must be honest, that shit was almost pure cringe, but I would go back and do it over again.
Is it fucked up to off yourself the day before Christmas?
Should I wait until Dec 26?
>Are you happy with how you spent the last 10 years?
• Next to the entry, the page also holds records of crystals:
'''
Record 1
Compound: AgAu
Source: the Materials Project database
Functional: r²SCAN
Structure: relaxed

Properties
DFT formation energy, eV per formula unit: -0.094

extended XYZ file:
```
2
Lattice="2.935 0.000 0.000 -1.468 2.542 0.000 0.000 0.000 4.697" Properties=species:S:1:pos:R:3 pbc="T T T"
Ag 0.000 0.000 0.000
Au 1.468 0.847 2.348
```

=====

Record 2
Compound: Ba2FeO4
Source: the Materials Project database
Functional: r²SCAN
Structure: relaxed

Properties
DFT formation energy, eV per formula unit: -16.791

extended XYZ file:
```
28
Lattice="6.136 0.000 0.000 0.000 7.707 0.000 -5.508 0.000 10.094" Properties=species:S:1:pos:R:3 pbc="T T T"
Ba -1.498 0.045 3.091
Ba -4.252 3.809 8.138
Ba -1.206 5.018 5.870
Ba 1.548 6.543 0.823
Ba -0.920 1.165 9.271
Ba 1.834 2.689 4.224
Ba 4.880 3.898 1.956
Ba 2.126 7.663 7.003
Fe -1.123 1.723 5.889
Fe 1.631 2.130 0.842
Fe -1.003 5.577 9.252
Fe 1.751 5.984 4.205
O 0.064 1.450 1.338
O -2.690 2.403 6.385
O -3.654 1.258 9.380
O -0.900 2.595 4.333
O 1.380 3.872 1.052
O -1.373 7.689 6.099
O 0.183 5.691 3.427
O -2.570 5.870 8.474
O 3.198 1.837 1.620
O 0.445 2.016 6.667
O 2.001 0.018 3.995
O -0.752 3.835 9.042
O 1.528 5.112 5.761
O 4.282 6.449 0.714
O 3.318 5.304 3.709
O 0.564 6.257 8.755
```

=====

Record 3
Compound: LiCrP3O9
Source: the Materials Project database
Functional: r²SCAN
Structure: relaxed

Properties
E above lowest polymorph, eV/f.u.: 0.77
DFT formation energy, eV per formula unit: -32.160

extended XYZ file:
```
56
Lattice="5.349 0.000 0.000 0.000 12.662 0.000 0.000 0.000 11.673" Properties=species:S:1:pos:R:3 pbc="T T T"
Li 0.872 1.652 2.918
Li 0.872 4.679 8.754
Li 4.477 7.983 2.918
Li 4.477 11.010 8.754
Cr 0.000 0.000 0.000
Cr 0.000 0.000 5.836
Cr 0.000 6.331 0.000
Cr 0.000 6.331 5.836
P 1.608 3.165 0.000
P 1.608 3.165 5.836
P 2.669 7.245 7.353
P 2.669 7.245 10.156
P 2.669 11.748 1.516
P 2.669 11.748 4.320
P 2.680 0.914 7.353
P 2.680 0.914 10.156
P 2.680 5.417 1.516
P 2.680 5.417 4.320
P 3.741 9.496 0.000
P 3.741 9.496 5.836
O 0.883 2.592 1.157
O 0.883 2.592 4.679
O 0.883 3.739 6.994
O 0.883 3.739 10.515
O 1.354 6.537 7.309
O 1.354 6.537 10.199
O 1.354 12.456 1.473
O 1.354 12.456 4.363
O 1.464 0.072 7.174
O 1.464 0.072 10.335
O 1.464 6.259 1.338
O 1.464 6.259 4.498
O 2.580 1.658 8.754
O 2.580 4.673 2.918
O 2.629 8.444 6.355
O 2.629 8.444 11.154
O 2.629 10.548 0.518
O 2.629 10.548 5.318
O 2.720 2.114 6.355
O 2.720 2.114 11.154
O 2.720 4.217 0.518
O 2.720 4.217 5.318
O 2.769 7.989 8.754
O 2.769 11.004 2.918
O 3.885 6.403 7.174
O 3.885 6.403 10.335
O 3.885 12.590 1.338
O 3.885 12.590 4.498
O 3.995 0.206 7.309
O 3.995 0.206 10.199
O 3.995 6.125 1.473
O 3.995 6.125 4.363
O 4.466 8.923 1.157
O 4.466 8.923 4.679
O 4.466 10.070 6.994
O 4.466 10.070 10.515
```

=====

Record 4
Compound: FeOF
Source: the Materials Project database
Functional: r²SCAN
Structure: relaxed

Properties
DFT formation energy, eV per formula unit: -5.891

extended XYZ file:
```
24
'''
No. 2008-09 was amazing, 10-12 was okay, 13+ has been horrible with only extremely brief periods of fleeting happiness.
Try doing it on new years
Everyone here knows you're not going to do anything
I've been stagnating in stasis for over a decade. Communication, genetics, social media, it's too much, I don't want to NEET forever in my room but I don't see what else is out there that I can realistically achieve
I was 8 and had more hope and excitement for life. Parents didn't fight often and i had at least 1 friend.
I dont understand people who want to go bacl. I don't want to be dumber or relive the past at all. I just want a good future and present
(Crystal structures, as found in the file)
........
(1)
Compound: BaTiB2O6
Source: the Materials Project database
Functional: PBE-GGA
Structure: relaxed

Cell: 5.0743 5.0743 16.8183 Å, 90.00 90.00 120.00°
With the nearest neighbours (Å) after each atom.
Space group R-3 (No. 148, hexagonal axes)
Asymmetric unit:
Ba 0.0000 0.0000 0.0000 x3  6 O 2.81
Ti 0.0000 0.0000 0.5000 x3  6 O 1.97
B 0.0000 0.0000 0.2328 x6  3 O 1.38
O 0.0245 0.4627 0.9025 x18  1 B 1.38

**Electronic total energy**: -8.098 eV/atom

(2)
Compound: LiY9Si6O26
Source: the Materials Project database
Functional: PBE-GGA
Structure: relaxed

Cell: 9.4548 9.4548 6.7819 Å, 90.00 90.00 120.00°
With the nearest neighbours (Å) after each atom.
Space group P3 (No. 143)
Asymmetric unit:
Li 0.0000 0.0000 0.0000 x1  3 O 2.26
Y 0.0000 0.0000 0.4753 x1  6 O 2.33-2.39
Y 0.0978 0.4295 0.2254 x3  6 O 2.23-2.45
Y 0.1006 0.6692 0.7280 x3  6 O 2.21-2.43
Y 0.6667 0.3333 0.4787 x1  6 O 2.31-2.41
Y 0.6667 0.3333 0.9750 x1  6 O 2.31-2.40
Si 0.3037 0.0400 0.7271 x3  4 O 1.63-1.65
Si 0.3592 0.2942 0.2274 x3  4 O 1.61-1.66
O 0.0185 0.8370 0.2309 x3  1 Si 1.61
O 0.0829 0.3270 0.5338 x3  1 Si 1.65
O 0.0883 0.3443 0.9112 x3  1 Si 1.64
O 0.2070 0.1420 0.7170 x3  1 Si 1.63
O 0.3333 0.6667 0.2253 x1  3 Y 2.23
O 0.3333 0.6667 0.7187 x1  3 Y 2.21
O 0.4269 0.4158 0.0341 x3  1 Si 1.65
O 0.4310 0.4195 0.4184 x3  1 Si 1.65
O 0.4637 0.1961 0.2264 x3  1 Si 1.66
O 0.5023 0.1635 0.7270 x3  1 Si 1.64

**Electronic total energy**: -8.513 eV/atom

Number 1: energy of formation from the pure elements -3.22 eV per atom. Number 2: energy of formation from the pure elements -3.67 eV per atom.
........
(Back to the entry)
Finished my degree and having a job already but my life seems to be unfair to people who are trying. Skindeads and gang member drunkards are getting all the girlfriends while all I'm left is 4x scopes on PUBG. 8 months of being a hiki really made my life into a drastic question. My last 10 years are not that bad but for some reason I don't find meaning to my life.
Yes. The artstyles that were prominent during this specific decade bring me incredible feels even though I've only gotten into anime past 2012
Nope, wish I was dead.
Basically this. Got into a car crash in 15. Wish I had died.
**Inserted here: data records:**
(1)
# MgCu2Bi4O8 (PBE, optimized geometry)
# corrected total energy (MP2020 scheme): -5.454 eV per atom
# spin magnetization: 0.0 Bohr magnetons per cell
# energy of formation: -1.12 eV per atom
data_MgCu2Bi4O8
_chemical_formula_sum 'Mg1 Cu2 Bi4 O8'
_space_group_name_H-M_alt 'P 1'
_space_group_IT_number 1
_cell_length_a 6.0499
_cell_length_b 7.1172
_cell_length_c 6.9745
_cell_angle_alpha 79.95
_cell_angle_beta 64.30
_cell_angle_gamma 64.85
loop_
_space_group_symop_operation_xyz
'x,y,z'
loop_
_atom_site_label
_atom_site_type_symbol
_atom_site_fract_x
_atom_site_fract_y
_atom_site_fract_z
_atom_site_occupancy
O1 O 0.1044 0.2954 0.8952 1
Bi1 Bi 0.7089 0.5033 0.1347 1
Bi2 Bi 0.3469 0.4967 0.8653 1
Cu1 Cu 0.6876 0.0000 0.0000 1
Mg1 Mg 0.1898 0.5000 0.5000 1
O2 O 0.2950 0.7046 0.1048 1
O3 O 0.4954 0.2975 0.1084 1
O4 O 0.5503 0.8990 0.2825 1
Bi3 Bi 0.1318 0.1138 0.5014 1
O5 O 0.7318 0.1010 0.7175 1
O6 O 0.9462 0.1017 0.2853 1
Cu2 Cu 0.1878 0.0000 0.0000 1
O7 O 0.3332 0.8983 0.7147 1
Bi4 Bi 0.7470 0.8862 0.4986 1
O8 O 0.9012 0.7025 0.8916 1



(2)
# V6GaSn (PBE, optimized geometry)
# spin magnetization: 2.5 Bohr magnetons per cell
# energy of formation: -0.10 eV per atom
data_V6GaSn
_chemical_formula_sum 'V6 Ga1 Sn1'
_space_group_name_H-M_alt 'P 1'
_space_group_IT_number 1
_cell_length_a 4.8829
_cell_length_b 4.8829
_cell_length_c 4.8829
_cell_angle_alpha 90.00
_cell_angle_beta 90.00
_cell_angle_gamma 90.00
loop_
_space_group_symop_operation_xyz
'x,y,z'
loop_
_atom_site_label
_atom_site_type_symbol
_atom_site_fract_x
_atom_site_fract_y
_atom_site_fract_z
_atom_site_occupancy
V1 V 0.0000 0.5000 0.7412 1
V2 V 0.7412 0.0000 0.5000 1
V3 V 0.0000 0.5000 0.2588 1
Ga1 Ga 0.5000 0.5000 0.5000 1
V4 V 0.5000 0.7412 0.0000 1
Sn1 Sn 0.0000 0.0000 0.0000 1
V5 V 0.2588 0.0000 0.5000 1
V6 V 0.5000 0.2588 0.0000 1



(3)
# SrEuHfInO6 (PBE, optimized geometry)
# corrected total energy (MP2020 scheme): -8.440 eV per atom
# spin magnetization: 6.0 Bohr magnetons per cell
# energy of formation: -3.01 eV per atom
data_SrEuHfInO6
_chemical_formula_sum 'Sr1 Eu1 Hf1 In1 O6'
_space_group_name_H-M_alt 'P 1'
_space_group_IT_number 1
_cell_length_a 5.8904
_cell_length_b 5.8904
_cell_length_c 5.8904
_cell_angle_alpha 60.00
_cell_angle_beta 60.00
_cell_angle_gamma 60.00
loop_
_space_group_symop_operation_xyz
'x,y,z'
loop_
_atom_site_label
_atom_site_type_symbol
_atom_site_fract_x
_atom_site_fract_y
_atom_site_fract_z
_atom_site_occupancy
O1 O 0.2456 0.7544 0.2456 1
O2 O 0.7544 0.7544 0.2456 1
Hf1 Hf 0.0000 0.0000 0.0000 1
O3 O 0.2456 0.7544 0.7544 1
O4 O 0.7544 0.2456 0.2456 1
O5 O 0.7544 0.2456 0.7544 1
O6 O 0.2456 0.2456 0.7544 1
In1 In 0.5000 0.5000 0.5000 1
Eu1 Eu 0.2500 0.2500 0.2500 1
Sr1 Sr 0.7500 0.7500 0.7500 1



(4)
# MgAl2Cl8 (PBE, optimized geometry)
# corrected total energy (MP2020 scheme): -4.234 eV per atom
# energy of formation: -2.06 eV per atom
data_MgAl2Cl8
_chemical_formula_sum 'Mg2 Al4 Cl16'
_space_group_name_H-M_alt 'P 1'
_space_group_IT_number 1
Not really. All my potential, hopes, and dreams ended up not working out. I have little hope left and can no longer wonder. It also doesn't help the world has exponentially gone further and further to shit each year. I was 14 in 2008 and got to watch the world go from making sense to full face-fuck clown world and everyone looks at me like I'm crazy for declaring the world's gone insane.
>From there I spent all my time in a dark room watching anime.
Found your problem user, you're supposed to read manga, don't waste your time with mediocre anime.
I'm happy you're okish though, keep it up